The Muppets: Ringing of the Bells [Video]
There’s really no age to love the muppets! Enjoy everyone!
There’s really no age to love the muppets! Enjoy everyone!
We’ve posted videos of beatboxers a few times here on [GaS], but now, let us present you with something a little different, a fluteboxer, someone who plays the flute while beatboxing at the same time. [Via Videosift]
If you were to transcribe every word you saw or heard during a week, the result would be longer than War and Peace. That’s one of the statistics thrown up by a report that finds the average person now reads three times as much as their 1980s counterpart, thanks mainly to computers in general and […]
Attached: calculated crystals.
-- begin --
<a>
DFT (PBE) results for a relaxed ZnCuRu crystal.

Unit cell a=2.6884 b=2.6884 c=6.4427 alpha=90.00 beta=90.00 gamma=120.00
Last column: nearest neighbours and their distance in Å.
Space group P3m1 (No. 156)
Unique sites:
Zn1 0.0000 0.0000 0.0000 (multiplicity 1)  3 Cu 2.61, 3 Ru 2.68, 6 Zn 2.69
Cu1 0.6667 0.3333 0.3262 (multiplicity 1)  3 Zn 2.61, 3 Ru 2.66, 6 Cu 2.69
Ru1 0.3333 0.6667 0.6611 (multiplicity 1)  3 Cu 2.66, 3 Zn 2.68, 6 Ru 2.69

Fermi-level density of states: 0.7208 states/eV/atom
total moment: 0.003 μB/f.u.

***

<b>
DFT (PBE) results for a relaxed ZnCuRu crystal.

Unit cell a=2.5676 b=3.8754 c=8.0894 alpha=90.00 beta=90.00 gamma=90.00
Last column: nearest neighbours and their distance in Å.
Space group Imm2 (No. 44)
Unique sites:
Zn1 0.0000 0.0000 0.0000 (multiplicity 2)  2 Zn 2.57, 5 Ru 2.67-2.70, 5 Cu 2.68-2.72
Cu1 0.0000 0.0000 0.6643 (multiplicity 2)  2 Cu 2.57, 5 Zn 2.68-2.72, 5 Ru 2.68-2.70
Ru1 0.0000 0.0000 0.3300 (multiplicity 2)  2 Ru 2.57, 5 Zn 2.67-2.70, 5 Cu 2.68-2.70

Fermi-level density of states: 0.6352 states/eV/atom
total moment: 0.000 μB/f.u.

***

<c>
DFT (PBE) results for a relaxed ZnCuRu crystal.

Unit cell a=2.8233 b=4.4357 c=13.0249 alpha=90.00 beta=90.00 gamma=90.00
Last column: nearest neighbours and their distance in Å.
Space group Fmm2 (No. 42)
Unique sites:
Zn1 0.0000 0.0000 0.0000 (multiplicity 4)  2 Cu 2.53, 2 Ru 2.62, 6 Zn 2.63-2.82
Cu1 0.0000 0.0000 0.6614 (multiplicity 4)  2 Zn 2.53, 2 Ru 2.62, 6 Cu 2.63-2.82
Ru1 0.0000 0.0000 0.3305 (multiplicity 4)  2 Cu 2.62, 2 Zn 2.62, 6 Ru 2.63-2.82

Fermi-level density of states: 0.7221 states/eV/atom
total moment: 0.507 μB/f.u.

***

<d>
DFT (PBE) results for a relaxed ZnCuRu crystal.

Unit cell a=2.7840 b=2.7840 c=10.3661 alpha=90.00 beta=90.00 gamma=90.00
Last column: nearest neighbours and their distance in Å.
Space group P4/nmm (No. 129, origin choice 2)
Unique sites:
Zn1 0.2500 0.2500 0.2400 (multiplicity 2)  4 Cu 2.60, 4 Ru 2.71, 4 Zn 2.78
Cu1 0.2500 0.2500 0.9232 (multiplicity 2)  8 Cu 2.53-2.78, 4 Zn 2.60
Ru1 0.2500 0.2500 0.5810 (multiplicity 2)  8 Ru 2.59-2.78, 4 Zn 2.71

Fermi-level density of states: 0.5498 states/eV/atom
total moment: 0.000 μB/f.u.

***

Most favorable first, least favorable last: <d>, <a>, <b>, <c>
-- stop --
The British government has confirmed it will introduce a tax on phone lines, designed to fund expansion of broadband services across the vast majority of the country. But the electoral timetable makes it questionable how long the tax would apply for, if at all. The aim of the tax is to subsidize extending broadband to […]
By Natania Barron Contributing Writer, [GaS] Share Unfortunately, though the world might be getting more and more geek friendly by the minute, being a geek girl is still difficult. So I’m appealing to you, Geeks Are Sexy readers, to consider a few things when approaching us in the, um, wild. I’m drawing on real experience […]
Modern communications technology is often blamed for supposed declining standards in literacy. But a British study finds children who make regular use of social networking tools are more likely to be confident about their written communication. The study by the National Literacy Trust found some seemingly obvious patterns, such as the fact that children who […]
Back in 1993, the Internet was a novelty whose concept few had grasped and most were confused by. This CBC-TV clip from “Prime Time News” reminds us of the astonishing conquest of the online world.
This has to be the most stupid idea… EVER! Unsurprisingly, fluorescent lamp fighting comes directly from the land of the rising sun, which brings me to this question: why does the majority of things that make you go WTF always seem to be coming from Japan? Hit the jump for additional pictures (warning: slightly graphic.)
The nine-year-old Mozart was not, as suspected, a midget adult. This and many other fascinating revelations are uncovered in a collection of historic scientific documents unveiled by the Royal Society this week. The society, formed in London in 1660, began publishing a journal titled Philosophical Transactions five years later – a journal which remains in […]
For computer geeks, the Windows versus Apple war has been going on for many, many years, but who knew that photo geeks were also engaged in an epic battle between Canon and Nikon? [Via Gizmodo]